As the political parties look to the race up the mountain to the election, the person wearing the yellow jersey for pollution reduction may come as a surprise to some, it’s Tony Abbott.

That’s the finding of the first run of our Pollute-o-meter across the present policies of the ALP and the Coalition. The Pollute-o-meter, conducted for The Climate Institute by independent consultants Climate Risk, reveals that present policies of the major parties will see Australia’s 2020 pollution levels at 21% above 2000 levels under the ALP and 7% above for the Coalition.

Much greater detail is needed and expected from both sides in the election race’s coming weeks. As we await the outcomes of Tuesday’s Cabinet deliberations, the Coalition is in front on the pollution reduction stakes largely because of its Emission Reduction Fund. This fund, directed to internationally compliant outcomes, achieves 76 megatonnes of reduction.

The Government’s pre-emptive cancellation of its greens loans and home insulation schemes has negated the small gains made by amending its renewable energy target legislation.

Neither major party has credible policies for achieving the remarkably still bipartisan backed targets of 5%-25% reductions off 2000 levels by 2020.

No. 1
NdScCuSe3: calculated powder diffraction line list (Cu Kα), based on a DFT-relaxed cell (GGA-PBE, OQMD).

Principal peaks in the range 5° ≤ 2θ ≤ 70°, low angle first:
hkl	d (Å)	2θ (°)	Rel. int.
0 0 2	5.032	17.62	23
0 2 3	2.990	29.88	21
1 3 1	2.811	31.83	100
0 4 2	2.757	32.47	26
1 3 2	2.530	35.47	66
0 0 4	2.516	35.68	29
1 1 3	2.504	35.86	39
1 3 3	2.206	40.91	21
0 6 2	2.014	45.02	17
2 0 0	1.963	46.26	28
0 6 3	1.838	49.59	14
1 3 5	1.659	55.39	27

Structure:
```
data_NdScCuSe3
_chemical_formula_sum 'Nd4 Sc4 Cu4 Se12'
_space_group_name_H-M_alt 'C m c m'
_space_group_IT_number 63
_space_group_name_Hall '-C 2c 2'
_cell_length_a 3.9250
_cell_length_b 13.1850
_cell_length_c 10.0646
_cell_angle_alpha 90.00
_cell_angle_beta 90.00
_cell_angle_gamma 90.00
loop_
_atom_site_label
_atom_site_type_symbol
_atom_site_fract_x
_atom_site_fract_y
_atom_site_fract_z
_atom_site_occupancy
Nd1 Nd 0.0000 0.2339 0.2500 1
Sc1 Sc 0.0000 0.0000 0.0000 1
Cu1 Cu 0.0000 0.4752 0.7500 1
Se1 Se 0.0000 0.0888 0.7500 1
Se2 Se 0.0000 0.3596 0.5599 1
```

***

No. 2
TbDyIr2N2O2: calculated powder diffraction line list (Cu Kα), based on a DFT-relaxed cell (GGA-PBE, OQMD).

Principal peaks in the range 5° ≤ 2θ ≤ 70°, low angle first:
hkl	d (Å)	2θ (°)	Rel. int.
0 0 1	7.258	12.19	34
0 0 2	3.629	24.53	24
1 0 1	3.461	25.74	45
1 0 2	2.668	33.59	45
1 1 1	2.599	34.50	100
0 0 3	2.419	37.16	31
1 1 2	2.209	40.85	59
2 0 0	1.969	46.11	48
2 1 2	1.584	58.24	18
2 0 3	1.527	60.65	31
1 1 4	1.520	60.95	35
2 2 0	1.392	67.26	15

Structure:
```
data_TbDyIr2N2O2
_chemical_formula_sum 'Tb1 Dy1 Ir2 N2 O2'
_space_group_name_H-M_alt 'P 4 m m'
_space_group_IT_number 99
_cell_length_a 3.9372
_cell_length_b 3.9372
_cell_length_c 7.2579
_cell_angle_alpha 90.00
_cell_angle_beta 90.00
_cell_angle_gamma 90.00
loop_
The piece goes on >

The Greens, with a limited amount of international offsets, do achieve the 25% target.


While the Coalition edges in front in the pollution reduction stakes, separate analysis by The Climate Institute of broader policies, including the extent to which policies help build global ambition and action on pollution and climate change, has the Government with its wheel ahead.

We’ve boiled down this additional analysis to a rating out of five stars after examining performance under three categories:

  1. Limiting and reducing pollution at home and abroad
  2. Making businesses take responsibility for the pollution they cause
  3. Making clean energy cheaper

The Climate Institute’s Action Plan on Pollution and Climate Change and summary set out the policy priorities the basis for this assessment.

Our analysis reveals the extent of the policy race to the bottom over recent months with the Government scoring just one star out of five to the Coalition’s half a star.  The Greens rate four stars.

The ALP scores relatively strongly on its international policies but is let down badly by the domestic policy vacuum left by the delay of its Carbon Pollution Reduction Scheme. The Coalition scores relatively poorly across all three policy sections but trails especially with its slashing of investment in a global agreement — it removed international financing commitments in its Budget reply.

Ultimately pollution and climate change policy is not about points or stars, or how much Lycra you wear.

Good policy is about the extent to which economies make the shift to clean energy and low pollution.  Australia’s highly pollution dependent economy poses risks for our health, our environment and our economy.

Globally there is a race on for clean energy and low pollution technology.  It’s driven not just because of concerns about climate change, but also by concerns about clean air, clean water and energy security and independence. Research conducted by Bloomberg New Energy Finance for Westpac and The Climate Institute estimates that global clean energy investment will continue its durability through the global financial crisis in 2010 with some $US184 billion of investment.  This research also shows Australia has been lagging in this race.

Recent polling research highlights that Australians will reward a party that rolls out a detailed plan on pollution and climate change — it’s time for the race to the top to begin.

The Climate Institute’s Pollute-o-meter and star rating analytical tools will be continually updated throughout the campaign here.